Labour Party,  The Left

How Corbynism Alienated Everyone

This is a cross-post by John Wall

In Summer 2017 Jeremy Corbyn was riding high after a better than expected election performance largely silenced his critics. He basked in the adulation at Glastonbury and predicted being in Downing Street by Christmas and cancelling the Trident replacement.

A second election in 2017 may have been his best chance as the polls have subsequently stagnated but, in terms of who’d make the best PM, his ratings are below both the diminished May and Don’t Know.

He’s been found out, when his far-left ideology encountered the real world, such as over Salisbury and Syria  it’s been found wanting, and his past, spent in some extremely unpleasant places, has caught up with him.

Corbyn comes from the part of the left that fifty to sixty years ago looked for new “struggles” and found a simplistic anti-imperialism, with the US, in particular, seen as the root of all evil which was then coupled with a division into oppressors and the oppressed.

The irony is that as they’re seen as “against” the US, Russia and China, both with poor human rights records and probably the most aggressive, expansionist, imperialist countries, receive little attention.

Inserted here: records of crystals.
+++
Ho2MgAg5: relaxed, GGA-PBE.

Properties
Its calculated volume is 21.021 Å³/atom. As for the mass density: 8.82 g/cm³. Its formation energy is -170 kJ/mol of formula units. The total energy is -26.76 eV for the cell shown.

Unit cell a=5.0020 b=5.0020 c=7.5953 alpha=109.23 beta=109.23 gamma=90.00
Closest atoms and distances in Å follow each position.
Element x y z (fractional)
Ho1 0.7412 0.7412 0.4824  9 Ag 3.04-3.24
Ho2 0.2588 0.2588 0.5176  9 Ag 3.04-3.24
Mg1 0.0000 0.0000 0.0000  8 Ag 2.93
Ag1 0.5000 0.5000 0.0000  8 Ag 2.93, 2 Ho 3.24
Ag2 0.8869 0.3869 0.7738  2 Mg 2.93, 3 Ag 2.93-3.04, 4 Ho 3.04-3.18
Ag3 0.3869 0.8869 0.7738  2 Mg 2.93, 3 Ag 2.93-3.04, 4 Ho 3.04-3.18
Ag4 0.1131 0.6131 0.2262  2 Mg 2.93, 3 Ag 2.93-3.04, 4 Ho 3.04-3.18
Ag5 0.6131 0.1131 0.2262  2 Mg 2.93, 3 Ag 2.93-3.04, 4 Ho 3.04-3.18


(1)
! K2MgAu GGA-PBE relaxed; values from VASP
! - calculated density (g/cm³) = 3.38
! - calculated total energy (eV/atom) = -1.793
! - ΔH_f (0 K) (eV/atom) = -0.0264
&SYSTEM
  ibrav = 0, nat = 4, ntyp = 3
/
ATOMIC_SPECIES
Au 196.97 Au.upf
K 39.10 K.upf
Mg 24.30 Mg.upf
ATOMIC_POSITIONS crystal
Au 0.5000 0.5000 0.7500
K 0.0000 0.0000 0.9596
K 0.0000 0.0000 0.5404
Mg 0.5000 0.5000 0.2500
CELL_PARAMETERS angstrom
4.0160 0.0000 0.0000
0.0000 3.9929 0.0000
0.0000 0.0000 9.1656

***

(2)
! KMgAu2 GGA-PBE relaxed; values from VASP
! - calculated density (g/cm³) = 6.68
! - calculated total energy (eV/atom) = -2.700
! - ΔH_f (0 K) (eV/atom) = -0.3880
&SYSTEM
  ibrav = 0, nat = 4, ntyp = 3
/
ATOMIC_SPECIES
K 39.10 K.upf
Au 196.97 Au.upf
Mg 24.30 Mg.upf
ATOMIC_POSITIONS crystal
K 0.7500 0.7500 0.7500
Au 0.9433 0.9433 0.1707
Au 0.5567 0.5567 0.3293
Mg 0.2500 0.2500 0.2500
CELL_PARAMETERS angstrom
4.7362 0.0052 0.0140
2.3623 4.1050 0.0140
2.3583 1.3655 5.8616

***

(3)
! KMg2Au GGA-PBE relaxed; values from VASP
! - ΔE to the lowest computed polymorph (eV/atom) = 0.063
! - calculated density (g/cm³) = 4.24
! - calculated total energy (eV/atom) = -2.070
! - ΔH_f (0 K) (eV/atom) = -0.1788
&SYSTEM
  ibrav = 0, nat = 4, ntyp = 3
/
ATOMIC_SPECIES
Au 196.97 Au.upf
K 39.10 K.upf
Mg 24.30 Mg.upf
ATOMIC_POSITIONS crystal
Au 0.0000 0.0000 0.4139
K 0.5000 0.5000 0.7169
Mg 0.0000 0.0000 0.0718
Mg 0.5000 0.5000 0.2974
CELL_PARAMETERS angstrom
-2.3755 2.1105 1.8079
0.5686 -1.9564 3.0311
6.2182 5.1505 2.1578

***

(4)
! KMgAu2 GGA-PBE relaxed; values from VASP
! - calculated density (g/cm³) = 8.04
! - calculated total energy (eV/atom) = -2.690
! - ΔH_f (0 K) (eV/atom) = -0.3780
&SYSTEM
  ibrav = 0, nat = 4, ntyp = 3
/
ATOMIC_SPECIES
K 39.10 K.upf
Au 196.97 Au.upf
Mg 24.30 Mg.upf
ATOMIC_POSITIONS crystal
K 0.5000 0.2500 0.2500
Au 0.0000 0.0632 0.9372
Au 0.0000 0.4368 0.5628
Mg 0.5000 0.7500 0.7500
CELL_PARAMETERS angstrom
-3.1510 -0.8128 -1.5664
-1.3793 -0.4465 3.0062
-3.4270 7.1143 3.2022

***

(5)
! K2MgAu GGA-PBE relaxed; values from VASP
! - calculated density (g/cm³) = 2.60
! - calculated total energy (eV/atom) = -1.855
! - ΔH_f (0 K) (eV/atom) = -0.0881
&SYSTEM
+++

US support for Israel, however, means that many Corbynistas are obsessed with the conflict with the Palestinians and have a virulent hatred of Israel. There is a desperate need for a settlement but it’s important to remember that it’s fundamentally about land and borders, and not unique.

Although not a fan I have a sneaking regard for Blair, but it’s not always remembered that he (b. 1953) and Corbyn (b. 1949) are contemporaries who both entered Parliament in 1983. Blair accepted that the world had changed whereas Corbyn backed Benn against Kinnock in 1988.

From the Corbynite worldview of:

“…defining opponents as not belonging rather than seeking to win them over. Opponents are constructed as being outside of the community of the good or the progressive. This licenses their treatment as ‘other’, impermeable to political argument, reason and evidence.”

it’s possible to understand why Blair built bridges and made friends while Corbyn erects walls and makes enemies.

Blair won over Murdoch but Corbyn threatens the press. This is an ideologically driven own goal as circulations have dropped dramatically; the Sun and Telegraph lost over 60% between 1997 and 2018 – and the reduction is continuing. Blair got into bed with a giant, Corbyn picks a fight with dwarves!

The mightiest beast can be brought down by a pack of smaller animals so when the Mail (circulation down over 40% since 1997 and still falling!) went to a Tunisian cemetery to establish the location of recently discovered pictures the story was picked up by the rest of the media.

Corbyn’s 2017 conference speech mocked the Mail for devoting:

Misplaced materials data =
(1)
## CaPm3Y (PBE)

Data for a geometry-optimized CaPm3Y structure.

a b c (Å): 6.1915 6.1915 12.3598
angles (deg): 75.49 75.49 60.00
Atoms (fractional coordinates):
Ca  0.3332  0.3332  0.0003
Ca  0.6667  0.6667  0.9999
Pm  0.0945  0.4170  0.7372
Pm  0.7513  0.0945  0.7372
Pm  0.5830  0.2487  0.2628
Pm  0.2487  0.9055  0.2628
Pm  0.9055  0.5830  0.2628
Pm  0.4170  0.7513  0.7372
Y  0.1664  0.1664  0.5007
Y  0.8336  0.8336  0.4993

Summary:
Symmetry = No. 148
Energy = -4.173 eV per atom
Calculated formation energy = 0.371 eV/atom
Crystal system = trigonal
Density = 4.77 g/cm3
Excess energy over the best structure of this formula in the dataset = 1.631 eV/f.u.
Fermi-level density of states = 1.82 states/eV/atom

(2)
## PmDy4Ho2Tm (PBE)

Data for a geometry-optimized PmDy4Ho2Tm structure.

a b c (Å): 9.4660 9.4660 11.7194
angles (deg): 128.24 128.24 88.74
Each line ends with the local moment (μB).
Atoms (fractional coordinates):
Pm  0.0000  0.5000  0.0000  0.28
Pm  0.0000  0.5000  0.5000  0.28
Dy  0.2502  0.7526  0.0014  0.31
Dy  0.7474  0.2498  0.4986  0.31
Dy  0.2526  0.7502  0.5014  0.31
Dy  0.7498  0.2474  0.9986  0.31
Dy  0.7484  0.7517  0.9991  0.34
Dy  0.7483  0.7516  0.5009  0.34
Dy  0.2517  0.2484  0.4991  0.34
Dy  0.2516  0.2483  0.0009  0.34
Ho  0.5000  0.0000  0.0000  0.28
Ho  0.5000  0.0000  0.5000  0.28
Ho  0.0000  0.0000  0.5000  0.34
Ho  0.5000  0.5000  0.0000  0.34
Tm  0.5000  0.5000  0.5000  0.31
Tm  0.0000  0.0000  0.0000  0.31

Summary:
Symmetry = No. 74
Energy = -4.158 eV per atom
Calculated formation energy = 0.441 eV/atom
Crystal system = orthorhombic
Density = 8.18 g/cm3
Fermi-level density of states = 2.15 states/eV/atom

(3)
## Ac2BSbRh6 (PBE)

Data for a geometry-optimized Ac2BSbRh6 structure.

a b c (Å): 4.7167 4.7167 9.0390
angles (deg): 90.00 90.00 90.00
Atoms (fractional coordinates):
Ac  0.0000  0.0000  0.7353
Ac  0.0000  0.0000  0.2647
B  0.5000  0.5000  0.5000
Sb  0.5000  0.5000  0.0000
Rh  0.5000  0.0000  0.0000
Rh  0.5000  0.0000  0.5000
Rh  0.0000  0.5000  0.0000
Rh  0.0000  0.5000  0.5000
Rh  0.5000  0.5000  0.7174
Rh  0.5000  0.5000  0.2826

Summary:
Raw formation energy = -3.3 eV per formula unit
Symmetry = No. 123
Energy = -6.639 eV per atom
Crystal system = tetragonal
Density = 9.94 g/cm3
Fermi-level density of states = 0.26 states/eV/atom

Q: Look up the density of the third one.
A: 9.94 g/cm3

~~~~~

No. 1
Material: BaZnPb
Method: DFT, PBE-GGA
State: relaxed

Its symmetry is Imm2, No. 44. For the formation energy, the calculation gives -0.3751 eV/atom. As for the mass density: 7.2 g cm⁻³.

Cell: 6.562 6.562 6.562 Å, 132.92 99.49 98.87°
Atoms (fractional coordinates):
Ba (0.000, 0.000, 0.000)
Ba (0.587, 0.087, 0.500)
Zn (0.051, 0.710, 0.341)
Zn (0.369, 0.710, 0.659)
Pb (0.190, 0.390, 0.800)
Pb (0.589, 0.390, 0.200)


No. 2
Material: BaZnPb
Method: DFT, PBE-GGA
State: relaxed

“fourteen pages to attacking the Labour Party. And our vote went up nearly 10%.”

and then asked:

“next time, please could you make it 28 pages?”

So it’s hypocritical to complain about “wreathgate”.

British Jews, many of whom once considered Labour their natural home, are now outside the “community of the good” and I’ve asked whether the Corbynista Many need the Jew? The sight of Luciana Berger with a police escort, together with other events, meant that his conference speech hasn’t convinced mainstream Jewry. As one rabbi noted, Jews are like canaries and considering the history it’s not surprising.

In the 1990s New Labour had the (in)famous prawn cocktail offensive, but Corbyn hates business and despite the effect on take  wants to increase tax. The announcement of a thinly disguised tax grab means it’s not surprising that business fears a Corbyn government almost as much as Brexit.

Peter Mandelson was once “relaxed about people getting filthy rich as long as they pay their taxes” but, although more than a quarter of income tax is paid by the 1% of taxpayers with the highest incomes, Corbyn wants them to pay more. His “little bit more” would inevitably become a lot more, particularly with the size of the financial hole in the “fully costed” manifesto, leading to an exodus and either a scaling back of his programme or a vicious spiral of tax rises leading to a further exodus leading to more tax rises…..

It’s not immediately obvious but it’s as important to avoid alienating people and making them vote against you as it is to provide reasons for them to support you, there is at least anecdotal evidence that fox hunting hurt the Conservatives in 2017 – a mistake they won’t repeat.

Immediately after the 2017 election I asked if Corbyn’s elastic had stretched as far as it can? Little has changed as Corbynistas believe that “outsiders” should come to the “community of the good”, Corbynism isn’t going to them.

When the Conservatives rattle the tin it will fill quickly.

Corbynism is a variation of the Law of Inverse Relevance as it often does the opposite of what it claims.

The “kinder, gentler politics” haven’t reached the Wirral, and one councillor has gone, followed by Birkenhead MP Frank Field  – there are other similar reports.

Chris Williamson’s Deselection, sorry Democracy Roadshow and his call for anti-Corbyn MPs to “resign or be replaced” shows that Labour is losing any pretence of being a broad church. The changes to MP (re)selection, although not as far reaching as some would like, have made it easier to get rid of Corbynsceptics and some online Corbynistas are eager to start purging.

Corbyn and his supporters frequently assert his life-long support for peace, opposition to violence, etc, etc – but if it was obvious they wouldn’t have to and the claims are difficult to substantiate.

The anti-imperialist, oppressor/oppressed, “community of the good” worldview explains his position during the Northern Ireland “troubles”. Despite repeatedly “honouring” terrorists there’s little contemporary evidence for a similar attitude towards their victims, the IRA were in the “community of the good”, anyone else didn’t matter.

There is such a paucity of evidence for Corbyn helping the peace process that Skwawkbox had to invent some, but it was a fantasy.

His position on the Middle East is similar and he’s happily shared platforms with antisemites, holocaust deniers and those committed to the destruction of Israel, whilst having little contact with Israelis.

There is little doubt that Corbyn laid a wreath on the grave of someone involved with the torture and massacre of Israeli athletes at the Munich Olympics and it’s reasonable to assume that he knew what he was doing; the Israeli athletes were outside the “community of the good” and irrelevant.

This appears callous but it’s the consequence of decades in far-left echo chambers, virtue signalling with those who share your views.

There are several routes to peace and although remembered as a war leader Churchill rightly believed that jaw-jaw was better than war-war.

WW2 cost tens of millions of lives and massive destruction; were those Corbyn supports successful it would also cost a bloodbath.

Team Corbyn’s responses to revelations are instructive. One tack was denial, i.e., lying, in the hope that this would be believed.

Wreathgate was denied in May 2017. When pictures of Corbyn with a wreath by the Munich terrorist graves surfaced he “didn’t think” he was involved, then admitted having laid a wreath, but on other graves, despite pictures showing a different wreath with him in the background.

It’s hardly surprising that his claim about Israel “scripting” speeches for MPs was found to be fiction.

Alternatively, as Hirsh explains, they “avoid debate over ideas and policies. Instead it defines itself as the community of the good and it positions its opponents and its critics as being outside of that community.” This can easily be seen by observing the likes of Chris Williamson or Owen Jones.

First is the mantra, usually repeated, of “Jeremy has campaigned for/against A, B or C all his life”.

Then come the attacks and smears; they’re a “right winger”, don’t want a Labour Government “for the many not the few”, etc, etc.

Finally there’s a rant about the failings of the Tories and how wonderful a Corbyn government would be “for the many not the few”.

This usually fills the limited time allocated on most news and current affairs programmes.

Corbyn is an excellent example of why organisations ask about skeletons in the cupboard, he has a lot of both. During the summer he campaigned on……I don’t recall as it was overshadowed by wreathgate.

His interview on conference Sunday, with a prepared Marr (Corbyn had previously left with his pants on fire), was dominated by antisemitism. Subsequently Snow, considered supportive, grilled him on his Press TV appearances, resulting in Corbyn lying and he then dodged the early morning interviews before his speech.

Many commentators, from across the spectrum, believe that Labour should be way ahead in the polls, but this is the result of the messenger becoming the story.

Elections are usually decided on domestic issues, amateur meddling in foreign affairs is a distraction. A resolution of the Israel – Palestine conflict won’t happen by uncritically backing one side, the Palestinians need advocates but bridges have to be built to the Israelis so that both sides can be told difficult truths.

The “community of the good” philosophy might purge dissenters and there may be some groups, such as Jews, who won’t be missed but it gives an unappealing impression of intolerant exclusivity.

The size and role of the state and level of taxation are valid debates but the anti-business, wealth and wealth creation rhetoric alienates those who follow the spirit as well as the letter of the law.

(Crystal structures, as found in the file)
VASP calculation (GGA+U) on a relaxed structure of KTbMo2O8.

extended XYZ file:
```
24
Lattice="7.508 0.024 0.023 0.272 7.503 0.023 3.716 3.595 5.922" Properties=species:S:1:pos:R:3 pbc="T T T"
K 4.474 8.737 4.465
K 7.023 2.385 1.504
Tb 8.640 4.431 4.465
Tb 2.857 6.691 1.504
Mo 8.204 7.986 4.531
Mo 3.292 3.136 1.437
Mo 5.102 4.984 4.398
Mo 6.395 6.138 1.570
O 6.862 7.858 3.373
O 4.635 3.264 2.595
O 5.273 6.322 5.556
O 6.223 4.801 0.412
O 6.159 3.704 5.217
O 5.338 7.418 0.751
O 9.448 6.887 3.712
O 2.048 4.235 2.256
O 8.084 6.255 5.751
O 3.412 4.867 0.217
O 6.835 5.047 3.178
O 4.661 6.075 2.790
O 8.802 9.647 4.157
O 2.694 1.475 1.811
O 3.421 4.442 4.772
O 8.075 6.681 1.196
```

Summary:
DFT total energy	-171.06	eV/cell
density	5.2	g/cm3

~~~~~

Record 1
## Tm6CuAg5 (PBE)

Data for a relaxed structure of Tm6CuAg5.

- ΔE_f (kJ/mol of formula units) = -378.6
- spin magnetization (μB/f.u.) = 0.000
- space-group type = Cmmm (65)
- ρ (g cm⁻³) = 9.9

Cell and atoms, written as POSCAR:
```
Tm6CuAg5
1.0
-3.305 -0.849 3.745
5.356 -0.890 4.526
-1.761 6.994 3.460
Tm Ag Cu
6 5 1
Direct
0.837 0.753 0.327 Tm
0.837 0.247 0.327 Tm
0.500 0.243 0.000 Tm
0.500 0.757 0.000 Tm
0.163 0.753 0.673 Tm
0.163 0.247 0.673 Tm
0.668 0.500 0.664 Ag
0.332 0.000 0.337 Ag
0.000 0.500 0.000 Ag
0.668 0.000 0.663 Ag
0.332 0.500 0.336 Ag
0.000 0.000 0.000 Cu
```

Record 2
## PrNdGaRu (PBE)

Data for a relaxed structure of PrNdGaRu.

- ΔE_f (kJ/mol of formula units) = -148.2
- spin magnetization (μB/f.u.) = 0.000
- space-group type = Amm2 (38)
- energy relative to the lowest polymorph listed for this composition (kJ/mol of formula units) = 0
- ρ (g cm⁻³) = 7.5

Cell and atoms, written as POSCAR:
```
PrNdGaRu
1.0
4.108 0.000 0.000
0.000 4.400 0.000
-2.054 0.000 5.566
Pr Nd Ga Ru
1 1 1 1
Direct
0.138 0.000 0.276 Pr
0.859 0.500 0.719 Nd
0.563 0.500 0.126 Ga
0.440 0.000 0.879 Ru
```

Record 3
## Er2PaCu (PBE)

Data for a relaxed structure of Er2PaCu.

- ΔE_f (kJ/mol of formula units) = 116.6
- spin magnetization (μB/f.u.) = 0.000
- space-group type = R-3m (166)
- energy relative to the lowest polymorph listed for this composition (kJ/mol of formula units) = 120
- ρ (g cm⁻³) = 10.7

Cell and atoms, written as POSCAR:
```
Er2PaCu
1.0
-1.012 1.605 -2.612
0.126 -1.402 -2.905
-10.313 -3.868 -0.376
Pa Cu Er
1 1 2
Direct
0.000 0.000 0.000 Pa
0.500 0.500 0.500 Cu
0.099 0.099 0.704 Er
0.901 0.901 0.296 Er
```

Record 4
## LaTbY2 (PBE)

Data for a relaxed structure of LaTbY2.

- ΔE_f (kJ/mol of formula units) = 9.2
- spin magnetization (μB/f.u.) = 0.000
- space-group type = Pmmm (47)
- energy relative to the lowest polymorph listed for this composition (kJ/mol of formula units) = 6
- ρ (g cm⁻³) = 5.9

Cell and atoms, written as POSCAR:
```
LaTbY2
1.0
5.038 0.000 0.468
0.000 7.263 0.000
-0.670 0.000 7.222
La Tb Y
2 2 4
Direct
0.000 0.250 0.000 La
0.000 0.750 0.000 La
0.000 0.250 0.500 Tb
0.000 0.750 0.500 Tb
0.500 0.500 0.256 Y
0.500 0.500 0.744 Y
0.500 0.000 0.744 Y
0.500 0.000 0.256 Y
```

Record 5
(So much for the crystal structures)

Softening the rhetoric would be beneficial, but this is largely what defines Corbyn.

There have been rumours of the Parliamentary Party trying another vote of confidence, but the deselection vultures are circling and the lesson of 2016 argues against success.

According to Neil Coyle Labour lost 18,000 members in the first three months of 2018, but another MP found “that while his local party membership was at a record high of 300, 200 members had left since Corbyn took over as leader” suggesting that the membership is moving further left.

From proposals to limit the power of the deputy should the leader quit it’s clear that some see the benefits of a different leader but, although his support has reduced many Corbynistas have a massive investment in “Jeremy” and either approve of, excuse, or aren’t worried by his “baggage”; every new revelation is another “smear”.

In the 1930s the unions removed Lansbury but they’ve shrunk and a mass membership makes their financial support less important, but they’re unlikely to withdraw it. Barons in grey suits wouldn’t achieve much.

MPs and unions have continual contact with thousands outside the far-left echo chamber, but the ongoing power shift is strengthening those furthest from reality and ensuring that the very people the country needs the most are the ones least likely to be involved in the party.